| ITNEXThttps://itnext.io/ This is a platform for engineers, software developers, IT architects, system engineers, and IT enthusiasts to share their knowledge, connect, and learn from one another. | |
 | freeCodeCamp.orghttps://www.freecodecamp.org/news/ Learn to code from home, build projects, and earn certifications showcasing the education. Gain expertises in responsive web design, JavaScript, data visualization, and more. | |
 | SitePointhttps://www.sitepoint.com/blog/ Find a blog of articles tailored for web developers, including tips on how to improve coding skills and interviews with expert web developers. Also includes a job board and library of useful books. | |
 | LogRockethttps://blog.logrocket.com/ Businesses can monitor how visitors interact with their website and find ways to improve those interactions further. The blog provides helpful tips and tricks for web owners to improve their site. | |
 | CSS Authorhttps://cssauthor.com/ Get comprehensive help on how to make a website better. Articles range from building photoshop skills to HTML and coding skills to WordPress themes. There are tutorials and free materials available. | |
 | Node.js Bloghttps://nodejs.org/en/blog/ Node.js is a JavaScript runtime built on Chrome's V8 engine. It is used to build scalable network application. | |
 | Stack Overflowhttps://stackoverflow.blog/ Stackoverflow is the largest, most trusted online community for developers to learn, share their knowledge, and build their careers. The website helps to solve coding problems, develop new skills, and find job opportunities. | |
 | CatsWhoCodehttps://www.catswhocode.com/blog A great website founded in 2008, dedicated to those who create and maintain websites. Such as web developers, web designers, webmasters and so on. | |
 | Tuts+ Codehttps://code.tutsplus.com/ A website with thousands of free tutorials and online courses on software development, web applications, design and crafting. It helps with improving coding skills and workflow. | |
 | Reacthttps://reactjs.org/ A site dedicated to helping readers build their skills in React and JavaScript. There are lots of in-depth tutorials in addition to articles discussing a variety of topics relating to web development. | |
 | RWieruchhttps://www.robinwieruch.de/blog Robin Wieruch is a German software engineer for React.js, Node.js, and GraphQL. He offers courses in these fields and more as well as helpful tips on his blog for developers. | |
 | Auth0https://auth0.com/blog/ A site solving the most complex identity-use cases for global enterprises, offering an easy to implement platform that helps provide secure logins. There are videos, whitepapers, and webinars available too. | |
 | Angularhttps://blog.angular.io/ News and tips from the Angular team. Angular is a platform to help mobile and desktop web applications, so the blog offers tricks on how to improve products and workflow, among other things. | |
 | Cory Rylanhttps://coryrylan.com/ The website of a Google development expert and front end developer. Cory Rylan offers helpful articles and tutorials that help readers build their skills and become better developers. | |
 | Flavio Copeshttps://flaviocopes.com/ Find tips and tricks on a variety of web development fields, including React, CSS, JavaScript, C, and more. Topics are comprehensive and easy to follow so that readers can quickly build skills. | |
 | Stack Diaryhttps://stackdiary.com/ Stack Diary is a free resource for Web Developers who have a keen eye on Marketing. The site covers topics like web development, design, and digital growth. | |
 | React Traininghttps://reacttraining.com/blog/ Workshops, corporate training, and even newsletters on everything a reader would need to know to learn react. Articles are usually short but pack a lot of information. | |
 | Hostinger Tutorialshttps://hostinger.com/tutorials Hostinger Tutorials cover topics in the IT niche, including but not limited to Website Development, Web Hosting Management, Video Tutorials, and Webinars. | |
• Records of crystals that have nothing to do with the text:
........
1.
VASP calculation (PBE) on HfMg14BiO16 after structural relaxation. Values from VASP.

Computed properties:
* energy relative to the lowest polymorph listed for this composition: 5 meV per atom
* magnetization: 2.34 μB per cell
* calculated density: 4.68 g cm⁻³
* E_tot: -5.9489 eV/atom

```
&SYSTEM
  ibrav = 0, nat = 32, ntyp = 4
/
ATOMIC_SPECIES
Hf 178.49 Hf.upf
Mg 24.30 Mg.upf
Bi 208.98 Bi.upf
O 16.00 O.upf
CELL_PARAMETERS angstrom
8.900 0.000 0.000
0.000 8.900 0.000
0.000 0.000 4.408
ATOMIC_POSITIONS angstrom
Hf 0.000 0.000 0.000
Mg 0.000 2.299 2.204
Mg 0.000 4.450 0.000
Mg 0.000 6.601 2.204
Mg 2.140 4.450 2.204
Mg 2.258 2.258 0.000
Mg 2.258 6.642 0.000
Mg 2.299 0.000 2.204
Mg 4.450 0.000 0.000
Mg 4.450 2.140 2.204
Mg 4.450 6.760 2.204
Mg 6.601 0.000 2.204
Mg 6.642 2.258 0.000
Mg 6.642 6.642 0.000
Mg 6.760 4.450 2.204
Bi 4.450 4.450 0.000
O 0.000 0.000 2.204
O 0.000 2.152 0.000
O 0.000 4.450 2.204
O 0.000 6.748 0.000
O 1.920 4.450 0.000
O 2.152 0.000 0.000
O 2.202 2.202 2.204
O 2.202 6.698 2.204
O 4.450 0.000 2.204
O 4.450 1.920 0.000
O 4.450 4.450 2.204
O 4.450 6.980 0.000
O 6.698 2.202 2.204
O 6.698 6.698 2.204
O 6.748 0.000 0.000
O 6.980 4.450 0.000
```

---

2.
VASP calculation (PBE) on Gd2Se2O after structural relaxation. Values from VASP.

Computed properties:
* calculated density: 7.06 g cm⁻³
* E_tot: -10.4921 eV/atom

```
&SYSTEM
  ibrav = 0, nat = 20, ntyp = 3
/
ATOMIC_SPECIES
Gd 157.25 Gd.upf
Se 78.96 Se.upf
O 16.00 O.upf
CELL_PARAMETERS angstrom
16.265 0.000 0.000
0.000 3.975 0.000
0.000 0.000 7.103
ATOMIC_POSITIONS angstrom
Gd 0.625 0.994 1.407
Gd 2.624 0.994 5.393
Gd 5.509 2.981 1.842
Gd 7.508 2.981 4.959
Gd 8.758 0.994 2.144
Gd 10.756 0.994 5.261
Gd 13.641 2.981 1.710
Gd 15.640 2.981 5.696
Se 1.625 2.981 3.621
Se 2.926 2.981 0.367
Se 5.206 0.994 3.919
Se 6.508 0.994 0.070
Se 9.758 2.981 7.033
Se 11.059 2.981 3.184
Se 13.339 0.994 6.736
Se 14.640 0.994 3.482
O 0.500 0.994 6.190
O 7.633 2.981 2.639
O 8.633 0.994 4.464
O 15.765 2.981 0.913
```

---

3.
VASP calculation (PBE) on LiTiS2 after structural relaxation. Values from VASP.

Computed properties:
* calculated density: 3.07 g cm⁻³
* E_tot: -5.9250 eV/atom

```
&SYSTEM
  ibrav = 0, nat = 4, ntyp = 3
/
ATOMIC_SPECIES
Li 6.94 Li.upf
Ti 47.87 Ti.upf
S 32.06 S.upf
CELL_PARAMETERS angstrom
1.744 1.007 6.113
-1.744 1.007 6.113
0.000 -2.014 6.113
ATOMIC_POSITIONS angstrom
Li 0.000 0.000 0.000
Ti 0.000 0.000 9.169
S 0.000 0.000 4.507
S 0.000 0.000 13.831
```

---

4.
VASP calculation (PBE) on Nd5In4Pt2 after structural relaxation. Values from VASP.

Computed properties:
* calculated density: 8.79 g cm⁻³
* E_tot: -5.0300 eV/atom

```
&SYSTEM
  ibrav = 0, nat = 22, ntyp = 3
/
ATOMIC_SPECIES
Nd 144.24 Nd.upf
In 114.82 In.upf
Pt 195.08 Pt.upf
CELL_PARAMETERS angstrom
8.333 0.000 0.000
0.000 18.776 0.000
0.000 0.000 3.793
ATOMIC_POSITIONS angstrom
Nd 0.000 0.000 0.000
Nd 0.975 7.794 0.000
Nd 2.025 4.103 0.000
Nd 2.141 13.491 0.000
Nd 3.192 17.182 0.000
Nd 4.167 9.388 0.000
........
 | Projectprohttps://www.projectpro.io/blog ProjectPro is the world's only ready-made, end-to-end projects platform. We provide ready-made AI/ML/Big Data/Cloud project templates to solve real-world business problems. | |
 | David Walsh Bloghttps://davidwalsh.name/ A prolific web developer shares his tips on how readers can improve their skills. Walsh helps with a variety of front-end web development tools, such as HTML and JavaScript. | |
 | codebursthttps://codeburst.io/ A place to learn web development and find good web courses on coding, programming, and more. Whether readers want to improve website design or utilize data, this site has answers. | |
 | Simple Programmerhttps://simpleprogrammer.com/ Founded by John Sonmez, the simple programmer is focused on helping software developers, programmers and other IT professionals improve their careers and live better lives. | |
 | Live Code Streamhttps://livecodestream.dev/ Live Code Stream is a blog dedicated to software engineering, data science, AI, and all about computer science. | |
 | ServerGuyhttps://serverguy.com/blog/ A blog filled with insightful resources and articles related to e-commerce, Magento, AWS, and WordPress development to help in scaling e-commerce businesses. | |
 | Alligator.iohttps://alligator.io/ A website helping untrained readers build their website with ease. Helpful guides bring readers through CSS, JavaScript, HTML, and more. All website creation info is friendly for beginners. | |
## Calculated crystals, as found in the file
1.
Entry from the Materials Project: a relaxed Cd2Hg2HSe2O10 crystal (GGA-PBE).

Unit cell a=8.126 b=6.453 c=11.882 alpha=90.00 beta=117.73 gamma=90.00
Element x y z (fractional)
Cd  0.244  0.004  0.078
Cd  0.244  0.996  0.578
Cd  0.756  0.004  0.422
Cd  0.756  0.996  0.922
Hg  0.000  0.219  0.250
Hg  0.000  0.500  0.000
Hg  0.000  0.500  0.500
Hg  0.000  0.781  0.750
H  0.500  0.203  0.250
H  0.500  0.797  0.750
Se  0.334  0.288  0.855
Se  0.334  0.712  0.355
Se  0.666  0.288  0.645
Se  0.666  0.712  0.145
O  0.009  0.205  0.431
O  0.009  0.795  0.931
O  0.219  0.095  0.751
O  0.219  0.905  0.251
O  0.265  0.276  0.970
O  0.265  0.724  0.470
O  0.273  0.484  0.283
O  0.273  0.516  0.783
O  0.437  0.248  0.579
O  0.437  0.752  0.079
O  0.563  0.248  0.921
O  0.563  0.752  0.421
O  0.727  0.484  0.217
O  0.727  0.516  0.717
O  0.735  0.276  0.530
O  0.735  0.724  0.030
O  0.781  0.095  0.749
O  0.781  0.905  0.249
O  0.991  0.205  0.069
O  0.991  0.795  0.569

Output
As for the energy of formation from the pure elements: -0.95 eV per atom. The total magnetization is 1.0 μB/f.u. The value obtained for the corrected total energy (MP2020 scheme) is -4.61 eV per atom.


2.
Entry from the Materials Project: a relaxed Na42Mg8Nb16Si33S3O144 crystal (GGA-PBE).

Unit cell a=9.127 b=15.790 c=22.413 alpha=89.78 beta=89.90 gamma=89.98
Element x y z (fractional)
Na  0.000  0.000  0.000
Na  0.000  0.661  0.336
Na  0.019  0.338  0.659
Na  0.036  0.362  0.001
Na  0.078  0.675  0.003
Na  0.080  0.339  0.336
Na  0.192  0.843  0.584
Na  0.195  0.175  0.255
Na  0.196  0.173  0.753
Na  0.199  0.513  0.417
Na  0.202  0.847  0.078
Na  0.214  0.512  0.918
Na  0.321  0.337  0.836
Na  0.331  0.673  0.506
Na  0.342  0.014  0.159
Na  0.368  0.364  0.500
Na  0.371  0.690  0.160
Na  0.375  0.037  0.838
Na  0.382  0.333  0.161
Na  0.401  0.663  0.836
Na  0.407  0.999  0.500
Na  0.496  0.500  0.000
Na  0.499  0.162  0.335
Na  0.515  0.835  0.660
Na  0.531  0.191  0.660
Na  0.532  0.870  0.000
Na  0.567  0.167  0.003
Na  0.580  0.839  0.337
Na  0.698  0.012  0.418
Na  0.698  0.351  0.581
Na  0.700  0.668  0.256
Na  0.701  0.013  0.923
Na  0.704  0.349  0.083
Na  0.704  0.675  0.751
Na  0.826  0.837  0.837
Na  0.830  0.174  0.505
Na  0.868  0.863  0.501
Na  0.879  0.193  0.160
Na  0.879  0.537  0.830
Na  0.885  0.837  0.159
Na  0.905  0.160  0.837
Na  0.907  0.500  0.500
Mg  0.194  0.513  0.564
Mg  0.201  0.180  0.894
Mg  0.205  0.180  0.390
Mg  0.209  0.512  0.064
Mg  0.693  0.012  0.563
Mg  0.695  0.683  0.891
Mg  0.702  0.013  0.061
Mg  0.705  0.680  0.391
Nb  0.196  0.844  0.725
Nb  0.201  0.515  0.764
Nb  0.201  0.846  0.227
Nb  0.202  0.181  0.097
Nb  0.202  0.847  0.935
Nb  0.203  0.512  0.266
Nb  0.205  0.186  0.603
Nb  0.205  0.840  0.431
Nb  0.697  0.340  0.931
Nb  0.698  0.685  0.103
Nb  0.701  0.349  0.725
Nb  0.702  0.013  0.765
Nb  0.703  0.341  0.431
Nb  0.704  0.013  0.267
Nb  0.706  0.349  0.226
Nb  0.709  0.687  0.604
Si  0.054  0.369  0.159
 | Bithttps://bit.dev/ Offers a service to create scalable and collaborative ways to build and reuse components on a website. There are tutorials and support for getting Bit to work, as well as an informative blog. | |
 | CodePenhttps://blog.codepen.io/ CodePen allows users to write code in the browser and see the results. The blog is where the platform posts announcements, new and updated features, tips and tricks, roundups, and more. | |
 | codeforgeekhttps://codeforgeek.com/ Whether a beginner or advanced coder, this site has information to help readers build skills. Topics include code, database, artificial intelligence, machine learning, and more. | |
Calculated crystals, as found in the file
┌──
Below is a relaxed structure of Ga23N5O27, with properties calculated at the PBE level.

Output
Uncorrected energy: -5.99 eV/atom
Spin magnetization: 0.00 μB/f.u.
V: 10.746 Å³ per atom
Theoretical density: 5916 kg/m³
DFT formation energy: -1876 meV per atom

CIF file:
```
data_Ga23N5O27
_cell_length_a 5.9181
_cell_length_b 5.9253
_cell_length_c 19.6185
_cell_angle_alpha 81.76
_cell_angle_beta 82.17
_cell_angle_gamma 60.53
_symmetry_space_group_name_H-M 'P 1'
_symmetry_Int_Tables_number 1
_symmetry_space_group_name_Hall 'P 1'
loop_
_atom_site_label
_atom_site_fract_x
_atom_site_fract_y
_atom_site_fract_z
_atom_site_occupancy
Ga1 0.0000 0.0000 0.0000 1
Ga2 0.0033 0.0042 0.4971 1
Ga3 0.0133 0.5206 0.4095 1
Ga4 0.1253 0.5949 0.1181 1
Ga5 0.2267 0.7235 0.8489 1
Ga6 0.2427 0.2544 0.7483 1
Ga7 0.2462 0.7457 0.2438 1
Ga8 0.2478 0.2562 0.2460 1
Ga9 0.2554 0.7887 0.6585 1
Ga10 0.3751 0.8796 0.3770 1
Ga11 0.4789 0.9679 0.0893 1
Ga12 0.4967 0.9979 0.4943 1
Ga13 0.4993 0.4975 0.9983 1
Ga14 0.5018 0.5055 0.4976 1
Ga15 0.5198 0.0281 0.9058 1
Ga16 0.6311 0.1207 0.6255 1
Ga17 0.7209 0.2203 0.3409 1
Ga18 0.7468 0.2862 0.1512 1
Ga19 0.7482 0.7495 0.2471 1
Ga20 0.7583 0.7460 0.7458 1
Ga21 0.7605 0.2471 0.7469 1
Ga22 0.8857 0.3892 0.8801 1
Ga23 0.9697 0.4696 0.5970 1
N1 0.1913 0.1618 0.4389 1
N2 0.3903 0.4557 0.1877 1
N3 0.6563 0.6955 0.4392 1
N4 0.9006 0.9536 0.6900 1
N5 0.9357 0.4354 0.6944 1
O1 0.0509 0.5663 0.3066 1
O2 0.0535 0.0845 0.8124 1
O3 0.0592 0.5573 0.8137 1
O4 0.0851 0.0505 0.3072 1
O5 0.1693 0.1777 0.9359 1
O6 0.1866 0.6907 0.4387 1
O7 0.1919 0.6948 0.9437 1
O8 0.3066 0.8024 0.0602 1
O9 0.3075 0.8090 0.5592 1
O10 0.3220 0.3174 0.0602 1
O11 0.3416 0.3018 0.5592 1
O12 0.4308 0.9344 0.1928 1
O13 0.4365 0.9485 0.6873 1
O14 0.4375 0.4234 0.6883 1
O15 0.5488 0.5845 0.3088 1
O16 0.5533 0.0542 0.3084 1
O17 0.5534 0.0713 0.8052 1
O18 0.5852 0.5537 0.8099 1
O19 0.6727 0.6747 0.9345 1
O20 0.6837 0.1863 0.4396 1
O21 0.6938 0.1945 0.9369 1
O22 0.8011 0.3033 0.0560 1
O23 0.8015 0.3048 0.5601 1
O24 0.8033 0.8371 0.5573 1
O25 0.8340 0.8171 0.0658 1
O26 0.9259 0.4441 0.1889 1
O27 0.9270 0.9286 0.1920 1
```

---

Below is a relaxed structure of Ga3NO3, with properties calculated at the PBE level.

Output
Uncorrected energy: -6.03 eV/atom
E above lowest polymorph: 0.00 eV/f.u.
Spin magnetization: 0.00 μB/f.u.
V: 13.354 Å³ per atom
Theoretical density: 4817 kg/m³
DFT formation energy: -1713 meV per atom

CIF file:
```
data_Ga3NO3
_cell_length_a 8.1279
_cell_length_b 6.4099
_cell_length_c 8.2297
_cell_angle_alpha 90.00
_cell_angle_beta 119.30
_cell_angle_gamma 90.00
_symmetry_space_group_name_H-M 'P 1 m 1'
_symmetry_Int_Tables_number 6
_symmetry_space_group_name_Hall 'P -2y'
loop_
_atom_site_label
_atom_site_fract_x
_atom_site_fract_y
_atom_site_fract_z
_atom_site_occupancy
Ga1 0.0000 0.0000 0.0000 1
Ga2 0.0072 0.5000 0.0115 1
Ga3 0.1695 0.2425 0.7681 1
Ga4 0.2446 0.2570 0.4134 1
Ga5 0.5761 0.0000 0.9524 1
Ga6 0.5853 0.5000 0.9463 1
Ga7 0.6401 0.5000 0.5748 1
└──
 | CSS-Trickshttps://css-tricks.com/ Helpful articles and tutorials on all things CSS related, included an almanac defining important CSS terms. There are also guides to help readers become more proficient in web development. | |
 | Love2Devhttps://love2dev.com/blog/ A site specializing in progressive web apps and search engine optimization, so it teaches readers to build their skills in those areas as well. Find helpful tutorials and guides here. | |
 | Scotch.iohttps://scotch.io/ Find fun and practical web development tools on this site. Topics range from JavaScript, Vue, and React to CSS and Python. Find helpful tutorials and courses as well as news. | |
 | Thinksterhttps://thinkster.io/ Find in-depth and comprehensive tutorials on a variety of web development tools, including React, Angular, JavaScript, Cypress, Gatsby, Vue, Deployment, and more. | |
 | Tutorialzinehttps://tutorialzine.com/articles A site with a community of developers who strive to learn together. There’s a growing library of tutorials and articles available for free to help readers build web skills. | |
 | Codropshttps://tympanus.net/codrops/ Tutorials, articles, and roundups on CSS related things, including a helpful library of CSS terms for beginners. There’s also design information to get readers thinking on improving their website aesthetics. | |
 | Ultimate Courseshttps://ultimatecourses.com/blog/ Find helpful and in-depth courses in Angular, TypeScript, RxJS, JavaScript, React, and AngularJS. Courses are from an expert team of web developers. | |
 | Usersnaphttps://usersnap.com/blog/ Allows customers to provide feedback for their favorite web companies. Allows web agencies to streamline their acceptance ratings and improve user experience, among other tools. | |
 | JavaScript Tutorialhttps://www.javascripttutorial.net/ The site helps to build JavaScript skills for beginners. Tutorials are easy to understand and thorough, allowing readers to grow their skills quickly. | |
 | SamanthaMing.comhttps://www.samanthaming.com/blog/ A front end developer, Samantha Ming shares her knowledge of programming through her blog posts and courses. Courses range from web basics to Flexbox and more. | |
 | Valentino Gagliardihttps://www.valentinog.com/blog/ Valentino Gagliardi teaches JavaScript, and his blog offers some tips for beginner web developers to build skills and get a handle on coding language. There are also helpful books to check out. | |
 | Treehouse Bloghttp://blog.teamtreehouse.com/ With over 200 courses and 27,000 minutes of videos, Team Tree House is committed to making education accessible to students of all races, genders, sexual orientations, and socio-economic backgrounds. | |
 | Developer Drivehttp://www.developerdrive.com/ Founded in 2011, DeveloperDrive is a dynamic hub of inspiration, tutorials, tips and opinion articles on all things web development. It helps the readers to learn and grow as web developers. | |
 | BetterStudio Bloghttps://betterstudio.com/blog/ The insight and tutorials of highly and 10+ years of experience in WordPress and Web development. | |
 | Qvaulthttps://qvault.io/articles Qvault covers a host of different programming topics including Go, JavaScript, Vue.js, algorithms, engineering practices, and cryptography. | |
 | Logical IDEAhttps://logicalidea.co A technology blog featuring tutorials about JavaScript, Android, iOS, HTML5, AJAX, PHP, CSS, WordPress, and everything else development related. | |
 | PCx3 Bloghttps://pcx3.com/ Blog on WordPress & Linux written from a hosting perspective. Author Stefan Pejcic draws on his expertise as sysadmin to offer practical solutions that can save you time. | |
 | TinyIMGhttps://tiny-img.com/blog/ TinyIMG blog makes Shopify store improvement simple. It dives deep into store setup, growth strategies, optimization, and includes actionable tips to help your store succeed. | |
 | OpenJavaScripthttps://www.openjavascript.info A blog featuring tutorials about JavaScript and related technologies, such as Node.js and React. | |